Assignment.
Could you quote the calculation results further below without additions?
Given.
+++
# C41H49HfN6S

A molecular structure, C41H49HfN6S (ωB97M-V/def2-TZVPD, the Open Molecules 2025 dataset).

Largest force on an atom ... 0.54 eV/Å
HOMO energy ... -9.51 eV
Net charge ... +1
Lowest unoccupied orbital energy ... -3.95 eV
Gap between HOMO and LUMO ... 5.56 eV
Total energy ... -64395.084 eV

Geometry as XYZ:
```
98
Properties=species:S:1:pos:R:3:forces:R:3
Hf 0.884209 -0.153779 -0.396872 0.05 0.14 -0.52
C 5.525059 -1.018812 4.003039 0.00 -0.03 0.04
C 5.678784 -0.088857 2.797448 0.03 0.05 -0.04
C 4.362996 0.388377 2.276153 0.06 -0.01 -0.01
C 3.702836 1.528502 2.568700 -0.06 -0.02 0.02
C 4.091806 2.624154 3.506187 0.07 0.01 -0.03
C 3.339429 2.539228 4.835633 -0.02 0.02 0.05
C 2.439754 1.501756 1.825778 -0.14 0.39 0.22
C 1.526604 2.545289 1.801947 -0.05 -0.08 -0.13
C 0.423157 2.584767 0.924628 0.13 0.10 0.13
C -0.085479 3.784437 0.268010 -0.02 -0.22 -0.12
C 0.309961 5.165872 0.673651 0.00 0.06 -0.02
C -0.425375 5.629264 1.932218 -0.02 0.00 0.01
C -0.757229 3.380841 -0.832386 0.02 0.05 0.14
C -0.772655 1.869045 -0.885312 -0.05 -0.05 0.24
C -2.155324 1.161323 -1.011693 0.01 0.04 -0.03
C -2.133058 -0.356602 -1.049861 -0.12 0.28 0.01
N -1.029430 -1.053190 -0.752494 0.46 -0.05 0.13
C -1.313411 -2.404927 -0.961554 -0.04 0.00 0.03
C -0.365332 -3.409515 -0.890492 -0.07 -0.12 -0.03
C 0.979366 -3.341727 -0.546526 0.09 0.01 0.00
N 1.631631 -2.175516 -0.137154 -0.32 0.14 0.02
C 2.865595 -2.550815 0.286888 0.10 -0.02 0.03
C 3.765922 -1.663673 0.964033 0.04 0.16 0.07
C 3.512997 -0.398837 1.382321 0.00 -0.13 -0.05
N 2.357157 0.344968 1.107756 -0.23 -0.36 -0.20
C 3.064875 -3.936280 0.089654 -0.11 0.08 -0.05
C 1.875508 -4.435256 -0.421440 -0.01 0.06 0.05
C 1.599827 -5.854426 -0.798638 -0.04 -0.01 0.04
C 1.912511 -6.119707 -2.272861 0.00 -0.02 -0.03
C 4.292122 -4.711495 0.451815 0.06 0.02 -0.06
C 4.318619 -5.114596 1.925983 0.02 -0.03 0.05
C -2.674031 -2.513320 -1.348942 0.09 0.07 -0.04
C -3.194154 -1.225519 -1.397079 0.05 0.07 0.10
C -4.619167 -0.859661 -1.684061 -0.02 -0.02 -0.06
C -5.337556 -0.280082 -0.466528 -0.05 0.01 0.05
C -3.410918 -3.784013 -1.614334 -0.01 -0.04 -0.07
C -4.163084 -4.271349 -0.373782 -0.02 -0.01 0.02
N -0.131540 1.493416 0.395532 0.13 -0.35 -0.15
C -1.255672 4.271461 -1.928458 0.06 0.02 -0.05
C -2.368193 5.223813 -1.486603 -0.04 0.04 0.01
H 6.498692 -1.362380 4.350648 0.00 0.00 0.00
H 4.924607 -1.895042 3.755128 -0.01 0.00 -0.01
H 5.031865 -0.505086 4.828650 0.00 0.01 0.00
H 6.219479 -0.599943 1.997208 0.00 -0.01 0.02
H 6.290328 0.771722 3.072366 -0.01 0.00 0.02
H 3.907785 3.594078 3.036515 -0.01 -0.01 -0.01
H 5.167024 2.578370 3.686057 -0.01 -0.01 0.01
H 2.260401 2.580756 4.682832 -0.01 0.00 0.00
H 3.619864 3.361059 5.493641 0.01 0.00 0.00
H 3.564086 1.603132 5.347310 0.00 -0.01 0.00
H 1.785126 3.450903 2.329788 0.02 0.00 0.01
H 0.127772 5.857233 -0.149424 -0.03 0.00 0.00
H 1.389928 5.183581 0.844912 0.00 -0.01 0.02
H -1.500791 5.670816 1.756179 -0.01 0.00 0.00
H -0.091255 6.618466 2.242279 0.01 0.01 -0.02
H -0.256604 4.940804 2.762204 0.01 0.00 0.01
H -2.696483 1.469289 -0.109361 -0.02 0.02 -0.04
H -0.727010 -4.403035 -1.130567 0.01 0.00 0.00
H 4.712882 -2.096587 1.256869 0.02 0.03 0.02
H 0.557751 -6.104922 -0.588628 0.00 0.01 -0.01
H 2.198356 -6.513704 -0.167697 0.01 -0.01 -0.01
H 1.303285 -5.486790 -2.919340 -0.01 0.00 0.00
H 1.717085 -7.160033 -2.530857 0.00 0.00 0.00
H 2.958691 -5.904999 -2.492947 0.01 0.00 0.00
H 5.182075 -4.125496 0.206671 0.00 0.00 0.03
H 4.350201 -5.602865 -0.175819 -0.01 -0.01 0.02
H 4.279975 -4.238118 2.575181 0.00 0.01 0.00
H 5.224714 -5.671730 2.163321 0.00 0.00 0.00
H 3.460109 -5.739758 2.174399 -0.01 -0.01 -0.01
H -5.144037 -1.753377 -2.026776 0.00 0.00 0.04
H -4.678661 -0.152972 -2.514551 0.02 0.01 -0.02
H -5.296967 -0.969982 0.377458 0.00 -0.02 0.00
H -6.385840 -0.084586 -0.693823 -0.01 0.01 0.00
H -4.889483 0.663546 -0.153604 -0.01 0.00 0.00
H -2.719174 -4.555477 -1.958368 0.01 0.00 0.03
H -4.113437 -3.629737 -2.435899 0.00 0.00 0.02
+++
Response.
# C41H49HfN6S

A molecular structure, C41H49HfN6S (ωB97M-V/def2-TZVPD, the Open Molecules 2025 dataset).

Largest force on an atom ... 0.54 eV/Å
HOMO energy ... -9.51 eV
Net charge ... +1
Lowest unoccupied orbital energy ... -3.95 eV
Gap between HOMO and LUMO ... 5.56 eV
Total energy ... -64395.084 eV

Geometry as XYZ:
```
98
Properties=species:S:1:pos:R:3:forces:R:3
Hf 0.884209 -0.153779 -0.396872 0.05 0.14 -0.52
C 5.525059 -1.018812 4.003039 0.00 -0.03 0.04
C 5.678784 -0.088857 2.797448 0.03 0.05 -0.04
C 4.362996 0.388377 2.276153 0.06 -0.01 -0.01
C 3.702836 1.528502 2.568700 -0.06 -0.02 0.02
C 4.091806 2.624154 3.506187 0.07 0.01 -0.03
C 3.339429 2.539228 4.835633 -0.02 0.02 0.05
C 2.439754 1.501756 1.825778 -0.14 0.39 0.22
C 1.526604 2.545289 1.801947 -0.05 -0.08 -0.13
C 0.423157 2.584767 0.924628 0.13 0.10 0.13
C -0.085479 3.784437 0.268010 -0.02 -0.22 -0.12
C 0.309961 5.165872 0.673651 0.00 0.06 -0.02
C -0.425375 5.629264 1.932218 -0.02 0.00 0.01
C -0.757229 3.380841 -0.832386 0.02 0.05 0.14
C -0.772655 1.869045 -0.885312 -0.05 -0.05 0.24
C -2.155324 1.161323 -1.011693 0.01 0.04 -0.03
C -2.133058 -0.356602 -1.049861 -0.12 0.28 0.01
N -1.029430 -1.053190 -0.752494 0.46 -0.05 0.13
C -1.313411 -2.404927 -0.961554 -0.04 0.00 0.03
C -0.365332 -3.409515 -0.890492 -0.07 -0.12 -0.03
C 0.979366 -3.341727 -0.546526 0.09 0.01 0.00
N 1.631631 -2.175516 -0.137154 -0.32 0.14 0.02
C 2.865595 -2.550815 0.286888 0.10 -0.02 0.03
C 3.765922 -1.663673 0.964033 0.04 0.16 0.07
C 3.512997 -0.398837 1.382321 0.00 -0.13 -0.05
N 2.357157 0.344968 1.107756 -0.23 -0.36 -0.20
C 3.064875 -3.936280 0.089654 -0.11 0.08 -0.05
C 1.875508 -4.435256 -0.421440 -0.01 0.06 0.05
C 1.599827 -5.854426 -0.798638 -0.04 -0.01 0.04
C 1.912511 -6.119707 -2.272861 0.00 -0.02 -0.03
C 4.292122 -4.711495 0.451815 0.06 0.02 -0.06
C 4.318619 -5.114596 1.925983 0.02 -0.03 0.05
C -2.674031 -2.513320 -1.348942 0.09 0.07 -0.04
C -3.194154 -1.225519 -1.397079 0.05 0.07 0.10
C -4.619167 -0.859661 -1.684061 -0.02 -0.02 -0.06
C -5.337556 -0.280082 -0.466528 -0.05 0.01 0.05
C -3.410918 -3.784013 -1.614334 -0.01 -0.04 -0.07
C -4.163084 -4.271349 -0.373782 -0.02 -0.01 0.02
N -0.131540 1.493416 0.395532 0.13 -0.35 -0.15
C -1.255672 4.271461 -1.928458 0.06 0.02 -0.05
C -2.368193 5.223813 -1.486603 -0.04 0.04 0.01
H 6.498692 -1.362380 4.350648 0.00 0.00 0.00
H 4.924607 -1.895042 3.755128 -0.01 0.00 -0.01
H 5.031865 -0.505086 4.828650 0.00 0.01 0.00
H 6.219479 -0.599943 1.997208 0.00 -0.01 0.02
H 6.290328 0.771722 3.072366 -0.01 0.00 0.02
H 3.907785 3.594078 3.036515 -0.01 -0.01 -0.01
H 5.167024 2.578370 3.686057 -0.01 -0.01 0.01
H 2.260401 2.580756 4.682832 -0.01 0.00 0.00
H 3.619864 3.361059 5.493641 0.01 0.00 0.00
H 3.564086 1.603132 5.347310 0.00 -0.01 0.00
H 1.785126 3.450903 2.329788 0.02 0.00 0.01
H 0.127772 5.857233 -0.149424 -0.03 0.00 0.00
H 1.389928 5.183581 0.844912 0.00 -0.01 0.02
H -1.500791 5.670816 1.756179 -0.01 0.00 0.00
H -0.091255 6.618466 2.242279 0.01 0.01 -0.02
H -0.256604 4.940804 2.762204 0.01 0.00 0.01
H -2.696483 1.469289 -0.109361 -0.02 0.02 -0.04
H -0.727010 -4.403035 -1.130567 0.01 0.00 0.00
H 4.712882 -2.096587 1.256869 0.02 0.03 0.02
H 0.557751 -6.104922 -0.588628 0.00 0.01 -0.01
H 2.198356 -6.513704 -0.167697 0.01 -0.01 -0.01
H 1.303285 -5.486790 -2.919340 -0.01 0.00 0.00
H 1.717085 -7.160033 -2.530857 0.00 0.00 0.00
H 2.958691 -5.904999 -2.492947 0.01 0.00 0.00
H 5.182075 -4.125496 0.206671 0.00 0.00 0.03
H 4.350201 -5.602865 -0.175819 -0.01 -0.01 0.02
H 4.279975 -4.238118 2.575181 0.00 0.01 0.00
H 5.224714 -5.671730 2.163321 0.00 0.00 0.00
H 3.460109 -5.739758 2.174399 -0.01 -0.01 -0.01
H -5.144037 -1.753377 -2.026776 0.00 0.00 0.04
H -4.678661 -0.152972 -2.514551 0.02 0.01 -0.02
H -5.296967 -0.969982 0.377458 0.00 -0.02 0.00
H -6.385840 -0.084586 -0.693823 -0.01 0.01 0.00
H -4.889483 0.663546 -0.153604 -0.01 0.00 0.00
H -2.719174 -4.555477 -1.958368 0.01 0.00 0.03
H -4.113437 -3.629737 -2.435899 0.00 0.00 0.02